== What to do ==
Next, type out the listing further down with every line break kept.

== Entries ==
=====
(1)
{"formula": "La2Pt2O7", "functional": "r2SCAN", "state": "relaxed", "crystal_system": "cubic", "dft_energy_ev_per_atom": -20.7210, "e_form_ev_per_atom": -2.15, "cell": [[0.000, 5.272, 5.272], [5.272, 0.000, 5.272], [5.272, 5.272, 0.000]], "species": ["La", "La", "La", "La", "Pt", "Pt", "Pt", "Pt", "O", "O", "O", "O", "O", "O", "O", "O", "O", "O", "O", "O", "O", "O"], "fractional_positions": [[0.000, 0.000, 0.000], [0.000, 0.000, 0.500], [0.000, 0.500, 0.000], [0.500, 0.000, 0.000], [0.000, 0.500, 0.500], [0.500, 0.000, 0.500], [0.500, 0.500, 0.000], [0.500, 0.500, 0.500], [0.125, 0.125, 0.125], [0.168, 0.168, 0.582], [0.168, 0.582, 0.168], [0.168, 0.582, 0.582], [0.418, 0.418, 0.832], [0.418, 0.832, 0.418], [0.418, 0.832, 0.832], [0.582, 0.168, 0.168], [0.582, 0.168, 0.582], [0.582, 0.582, 0.168], [0.832, 0.418, 0.418], [0.832, 0.418, 0.832], [0.832, 0.832, 0.418], [0.875, 0.875, 0.875]]}


(2)
{"formula": "La3Pt3O11", "functional": "r2SCAN", "state": "relaxed", "crystal_system": "cubic", "dft_energy_ev_per_atom": -20.3112, "e_form_ev_per_atom": -2.11, "cell": [[9.516, 0.000, 0.000], [0.000, 9.516, 0.000], [0.000, 0.000, 9.516]], "species": ["La", "La", "La", "La", "La", "La", "La", "La", "La", "La", "La", "La", "Pt", "Pt", "Pt", "Pt", "Pt", "Pt", "Pt", "Pt", "Pt", "Pt", "Pt", "Pt", "O", "O", "O", "O", "O", "O", "O", "O", "O", "O", "O", "O", "O", "O", "O", "O", "O", "O", "O", "O", "O", "O", "O", "O", "O", "O", "O", "O", "O", "O", "O", "O", "O", "O", "O", "O", "O", "O", "O", "O", "O", "O", "O", "O"], "fractional_positions": [[0.000, 0.000, 0.000], [0.000, 0.500, 0.500], [0.114, 0.114, 0.386], [0.114, 0.386, 0.114], [0.386, 0.114, 0.114], [0.386, 0.386, 0.386], [0.500, 0.000, 0.500], [0.500, 0.500, 0.000], [0.614, 0.614, 0.614], [0.614, 0.886, 0.886], [0.886, 0.614, 0.886], [0.886, 0.886, 0.614], [0.093, 0.750, 0.250], [0.250, 0.093, 0.750], [0.250, 0.407, 0.750], [0.250, 0.750, 0.593], [0.250, 0.750, 0.907], [0.407, 0.750, 0.250], [0.593, 0.250, 0.750], [0.750, 0.250, 0.093], [0.750, 0.250, 0.407], [0.750, 0.593, 0.250], [0.750, 0.907, 0.250], [0.907, 0.250, 0.750], [0.039, 0.083, 0.747], [0.039, 0.417, 0.753], [0.083, 0.747, 0.039], [0.083, 0.753, 0.461], [0.110, 0.750, 0.750], [0.144, 0.144, 0.144], [0.144, 0.356, 0.356], [0.247, 0.539, 0.917], [0.247, 0.961, 0.583], [0.250, 0.250, 0.610], [0.250, 0.250, 0.890], [0.250, 0.610, 0.250], [0.250, 0.890, 0.250], [0.253, 0.539, 0.583], [0.253, 0.961, 0.917], [0.356, 0.144, 0.356], [0.356, 0.356, 0.144], [0.390, 0.750, 0.750], [0.417, 0.747, 0.461], [0.417, 0.753, 0.039], [0.461, 0.083, 0.753], [0.461, 0.417, 0.747], [0.539, 0.583, 0.253], [0.539, 0.917, 0.247], [0.583, 0.247, 0.961], [0.583, 0.253, 0.539], [0.610, 0.250, 0.250], [0.644, 0.644, 0.856], [0.644, 0.856, 0.644], [0.747, 0.039, 0.083], [0.747, 0.461, 0.417], [0.750, 0.110, 0.750], [0.750, 0.390, 0.750], [0.750, 0.750, 0.110], [0.750, 0.750, 0.390], [0.753, 0.039, 0.417], [0.753, 0.461, 0.083], [0.856, 0.644, 0.644], [0.856, 0.856, 0.856], [0.890, 0.250, 0.250], [0.917, 0.247, 0.539], [0.917, 0.253, 0.961], [0.961, 0.583, 0.247], [0.961, 0.917, 0.253]]}


(3)
{"formula": "La3Re2O10", "functional": "r2SCAN", "state": "relaxed", "crystal_system": "monoclinic", "dft_energy_ev_per_atom": -19.7552, "e_form_ev_per_atom": -2.84, "cell": [[3.948, -3.926, 0.000], [3.948, 3.926, 0.000], [-3.031, 0.000, 6.473]], "species": ["La", "La", "La", "Re", "Re", "O", "O", "O", "O", "O", "O", "O", "O", "O", "O"], "fractional_positions": [[0.000, 0.000, 0.000], [0.258, 0.742, 0.500], [0.742, 0.258, 0.500], [0.366, 0.366, 0.825], [0.634, 0.634, 0.175], [0.095, 0.095, 0.718], [0.130, 0.604, 0.787], [0.329, 0.329, 0.528], [0.352, 0.352, 0.096], [0.396, 0.870, 0.213], [0.604, 0.130, 0.787], [0.648, 0.648, 0.904], [0.671, 0.671, 0.472], [0.870, 0.396, 0.213], [0.905, 0.905, 0.282]]}


(4)
=====

== Solution ==
(1)
{"formula": "La2Pt2O7", "functional": "r2SCAN", "state": "relaxed", "crystal_system": "cubic", "dft_energy_ev_per_atom": -20.7210, "e_form_ev_per_atom": -2.15, "cell": [[0.000, 5.272, 5.272], [5.272, 0.000, 5.272], [5.272, 5.272, 0.000]], "species": ["La", "La", "La", "La", "Pt", "Pt", "Pt", "Pt", "O", "O", "O", "O", "O", "O", "O", "O", "O", "O", "O", "O", "O", "O"], "fractional_positions": [[0.000, 0.000, 0.000], [0.000, 0.000, 0.500], [0.000, 0.500, 0.000], [0.500, 0.000, 0.000], [0.000, 0.500, 0.500], [0.500, 0.000, 0.500], [0.500, 0.500, 0.000], [0.500, 0.500, 0.500], [0.125, 0.125, 0.125], [0.168, 0.168, 0.582], [0.168, 0.582, 0.168], [0.168, 0.582, 0.582], [0.418, 0.418, 0.832], [0.418, 0.832, 0.418], [0.418, 0.832, 0.832], [0.582, 0.168, 0.168], [0.582, 0.168, 0.582], [0.582, 0.582, 0.168], [0.832, 0.418, 0.418], [0.832, 0.418, 0.832], [0.832, 0.832, 0.418], [0.875, 0.875, 0.875]]}


(2)
{"formula": "La3Pt3O11", "functional": "r2SCAN", "state": "relaxed", "crystal_system": "cubic", "dft_energy_ev_per_atom": -20.3112, "e_form_ev_per_atom": -2.11, "cell": [[9.516, 0.000, 0.000], [0.000, 9.516, 0.000], [0.000, 0.000, 9.516]], "species": ["La", "La", "La", "La", "La", "La", "La", "La", "La", "La", "La", "La", "Pt", "Pt", "Pt", "Pt", "Pt", "Pt", "Pt", "Pt", "Pt", "Pt", "Pt", "Pt", "O", "O", "O", "O", "O", "O", "O", "O", "O", "O", "O", "O", "O", "O", "O", "O", "O", "O", "O", "O", "O", "O", "O", "O", "O", "O", "O", "O", "O", "O", "O", "O", "O", "O", "O", "O", "O", "O", "O", "O", "O", "O", "O", "O"], "fractional_positions": [[0.000, 0.000, 0.000], [0.000, 0.500, 0.500], [0.114, 0.114, 0.386], [0.114, 0.386, 0.114], [0.386, 0.114, 0.114], [0.386, 0.386, 0.386], [0.500, 0.000, 0.500], [0.500, 0.500, 0.000], [0.614, 0.614, 0.614], [0.614, 0.886, 0.886], [0.886, 0.614, 0.886], [0.886, 0.886, 0.614], [0.093, 0.750, 0.250], [0.250, 0.093, 0.750], [0.250, 0.407, 0.750], [0.250, 0.750, 0.593], [0.250, 0.750, 0.907], [0.407, 0.750, 0.250], [0.593, 0.250, 0.750], [0.750, 0.250, 0.093], [0.750, 0.250, 0.407], [0.750, 0.593, 0.250], [0.750, 0.907, 0.250], [0.907, 0.250, 0.750], [0.039, 0.083, 0.747], [0.039, 0.417, 0.753], [0.083, 0.747, 0.039], [0.083, 0.753, 0.461], [0.110, 0.750, 0.750], [0.144, 0.144, 0.144], [0.144, 0.356, 0.356], [0.247, 0.539, 0.917], [0.247, 0.961, 0.583], [0.250, 0.250, 0.610], [0.250, 0.250, 0.890], [0.250, 0.610, 0.250], [0.250, 0.890, 0.250], [0.253, 0.539, 0.583], [0.253, 0.961, 0.917], [0.356, 0.144, 0.356], [0.356, 0.356, 0.144], [0.390, 0.750, 0.750], [0.417, 0.747, 0.461], [0.417, 0.753, 0.039], [0.461, 0.083, 0.753], [0.461, 0.417, 0.747], [0.539, 0.583, 0.253], [0.539, 0.917, 0.247], [0.583, 0.247, 0.961], [0.583, 0.253, 0.539], [0.610, 0.250, 0.250], [0.644, 0.644, 0.856], [0.644, 0.856, 0.644], [0.747, 0.039, 0.083], [0.747, 0.461, 0.417], [0.750, 0.110, 0.750], [0.750, 0.390, 0.750], [0.750, 0.750, 0.110], [0.750, 0.750, 0.390], [0.753, 0.039, 0.417], [0.753, 0.461, 0.083], [0.856, 0.644, 0.644], [0.856, 0.856, 0.856], [0.890, 0.250, 0.250], [0.917, 0.247, 0.539], [0.917, 0.253, 0.961], [0.961, 0.583, 0.247], [0.961, 0.917, 0.253]]}


(3)
{"formula": "La3Re2O10", "functional": "r2SCAN", "state": "relaxed", "crystal_system": "monoclinic", "dft_energy_ev_per_atom": -19.7552, "e_form_ev_per_atom": -2.84, "cell": [[3.948, -3.926, 0.000], [3.948, 3.926, 0.000], [-3.031, 0.000, 6.473]], "species": ["La", "La", "La", "Re", "Re", "O", "O", "O", "O", "O", "O", "O", "O", "O", "O"], "fractional_positions": [[0.000, 0.000, 0.000], [0.258, 0.742, 0.500], [0.742, 0.258, 0.500], [0.366, 0.366, 0.825], [0.634, 0.634, 0.175], [0.095, 0.095, 0.718], [0.130, 0.604, 0.787], [0.329, 0.329, 0.528], [0.352, 0.352, 0.096], [0.396, 0.870, 0.213], [0.604, 0.130, 0.787], [0.648, 0.648, 0.904], [0.671, 0.671, 0.472], [0.870, 0.396, 0.213], [0.905, 0.905, 0.282]]}


(4)